## Job
Now filter the calculation results below: keep the lines with the word "functional".
## Entries
+++
[1]
A relaxed Li2TlF2 crystal. Source: the Materials Project, functional GGA-PBE.

- E_tot: -3.820 eV per atom

abc: 7.808 7.808 7.808
angles: 105.03 105.03 118.78
Element x y z (fractional)
Li  0.045  0.161  0.616
Li  0.045  0.428  0.884
Li  0.161  0.045  0.116
Li  0.428  0.045  0.384
Li  0.572  0.955  0.616
Li  0.839  0.955  0.884
Li  0.955  0.572  0.116
Li  0.955  0.839  0.384
Tl  0.000  0.500  0.500
Tl  0.500  0.000  0.000
Tl  0.500  0.500  0.000
Tl  0.500  0.500  0.500
F  0.120  0.172  0.948
F  0.172  0.120  0.448
F  0.172  0.724  0.052
F  0.276  0.828  0.448
F  0.724  0.172  0.552
F  0.828  0.276  0.948
F  0.828  0.880  0.552
F  0.880  0.828  0.052

[2]
A relaxed CeNiSb crystal. Source: the Materials Project, functional GGA-PBE.

- E_tot: -6.047 eV per atom

abc: 4.334 4.334 4.105
angles: 90.00 90.00 120.00
Element x y z (fractional)
Ce  0.000  0.000  0.000
Ni  0.333  0.667  0.500
Sb  0.667  0.333  0.500

[3]
A relaxed EuY2O4 crystal. Source: the Materials Project, functional GGA-PBE.

- Energy above the lowest structure with this stoichiometry: 2.0 kJ per mole of atoms

abc: 3.422 10.166 11.998
angles: 89.82 89.84 89.80
Element x y z (fractional)
Eu  0.000  0.000  0.000
Eu  0.001  0.498  0.798
Eu  0.500  0.009  0.499
Eu  0.508  0.507  0.301
Y  0.001  0.332  0.540
Y  0.001  0.833  0.260
Y  0.005  0.828  0.763
Y  0.006  0.329  0.037
Y  0.503  0.173  0.760
Y  0.505  0.180  0.262
Y  0.505  0.675  0.040
Y  0.507  0.681  0.537
O  0.003  0.046  0.326
O  0.003  0.127  0.627
O  0.003  0.233  0.867
O  0.003  0.628  0.173
O  0.005  0.738  0.935
O  0.005  0.834  0.573
O  0.006  0.545  0.476
O  0.007  0.334  0.226
O  0.501  0.772  0.366
O  0.501  0.881  0.128
O  0.502  0.275  0.432
O  0.502  0.378  0.673
O  0.503  0.674  0.727
O  0.505  0.962  0.825
O  0.506  0.463  0.972
O  0.507  0.176  0.073

[4]
A relaxed Al crystal. Source: the Materials Project, functional GGA-PBE.

- Energy above the lowest structure with this stoichiometry: 9.8 kJ per mole of atoms

abc: 11.904 12.114 12.277
angles: 92.42 92.36 96.21
Element x y z (fractional)
Al  0.000  0.000  0.000
Al  0.001  0.149  0.725
Al  0.029  0.472  0.423
Al  0.038  0.801  0.087
Al  0.052  0.988  0.230
Al  0.073  0.125  0.434
Al  0.076  0.976  0.595
Al  0.081  0.298  0.280
Al  0.086  0.322  0.598
Al  0.088  0.772  0.671
Al  0.091  0.543  0.669
Al  0.114  0.964  0.814
Al  0.119  0.733  0.888
Al  0.122  0.593  0.079
Al  0.129  0.190  0.911
Al  0.146  0.743  0.266
Al  0.168  0.508  0.880
Al  0.168  0.684  0.474
Al  0.173  0.372  0.067
Al  0.175  0.150  0.120
Al  0.177  0.926  0.411
Al  0.190  0.518  0.278
Al  0.224  0.160  0.662
Al  0.250  0.489  0.523
Al  0.251  0.281  0.453
Al  0.266  0.110  0.310
Al  0.270  0.922  0.174
Al  0.274  0.336  0.805
Al  0.285  0.025  0.977
Al  0.294  0.648  0.733
Al  0.294  0.858  0.596
Al  0.312  0.685  0.980
Al  0.315  0.324  0.242
Al  0.320  0.862  0.826
Al  0.356  0.082  0.512
Al  0.358  0.263  0.015
Al  0.360  0.820  0.373
Al  0.367  0.704  0.191
Al  0.377  0.496  0.108
Al  0.396  0.668  0.529
Al  0.399  0.158  0.823
Al  0.401  0.353  0.618
Al  0.410  0.526  0.336
Al  0.412  0.513  0.893
Al  0.445  0.880  0.039
Al  0.458  0.997  0.697
Al  0.466  0.030  0.300
Al  0.476  0.268  0.411
Al  0.496  0.729  0.862
Al  0.503  0.567  0.698
Al  0.506  0.222  0.188
Al  0.524  0.094  0.006
Al  0.524  0.943  0.488
Al  0.535  0.357  0.806
Al  0.556  0.799  0.646
Al  0.558  0.199  0.627
Al  0.558  0.495  0.496
Al  0.559  0.395  0.031
Al  0.567  0.708  0.392
Al  0.577  0.850  0.230
Al  0.591  0.615  0.166
Al  0.603  0.416  0.276
Al  0.607  0.936  0.853
Al  0.651  0.167  0.842
Al  0.657  0.802  0.022
Al  0.659  0.579  0.927
Al  0.667  0.067  0.204
Al  0.671  0.118  0.431
Al  0.684  0.014  0.652
Al  0.693  0.334  0.499
Al  0.701  0.479  0.696
Al  0.712  0.737  0.781
Al  0.720  0.669  0.555
Al  0.721  0.243  0.067
Al  0.730  0.886  0.443
Al  0.763  0.023  0.010
Al  0.765  0.474  0.116
Al  0.766  0.382  0.890
Al  0.783  0.709  0.306
Al  0.794  0.506  0.390
+++
## Here it is
A relaxed Li2TlF2 crystal. Source: the Materials Project, functional GGA-PBE.
A relaxed CeNiSb crystal. Source: the Materials Project, functional GGA-PBE.
A relaxed EuY2O4 crystal. Source: the Materials Project, functional GGA-PBE.
A relaxed Al crystal. Source: the Materials Project, functional GGA-PBE.